### Exercise
Now print every line further down that contains the word "volume".
### Material
- - -
# 1
Cu2WSe after structural relaxation. Source: Alexandria, functional GGA-PBEsol.

Cell: 3.2221 4.3056 8.4416 Å, 90.00 90.00 90.00°
Space group Cmmm (No. 65)
One atom of each set of equivalent atoms:
Cu  0.0000  0.0000  0.2405 (multiplicity 4)
W  0.0000  0.5000  0.0000 (multiplicity 2)
Se  0.0000  0.5000  0.5000 (multiplicity 2)

Results
Total DFT energy (no corrections) = -6.19 eV per atom
Uncorrected formation energy = 0.396 eV/atom
Calculated volume = 117.1 Å³ per cell
Crystal system = orthorhombic

---

# 2
LiTa2Pt after structural relaxation. Source: Alexandria, functional GGA-PBEsol.

Cell: 2.8826 4.7494 9.2349 Å, 90.00 90.00 90.00°
Space group Imm2 (No. 44)
One atom of each set of equivalent atoms:
Li  0.0000  0.0000  0.0000 (multiplicity 2)
Ta  0.0000  0.0000  0.5283 (multiplicity 2)
Ta  0.0000  0.5000  0.7731 (multiplicity 2)
Pt  0.0000  0.5000  0.2762 (multiplicity 2)

Results
Total DFT energy (no corrections) = -8.56 eV per atom
Calculated volume = 126.4 Å³ per cell
Energy of formation = -0.05 eV/atom
Crystal system = orthorhombic

---

# 3
MgIrRhSe2 after structural relaxation. Source: Alexandria, functional GGA-PBEsol.

Cell: 4.6552 4.6552 4.5700 Å, 90.00 90.00 90.00°
Space group P4/mmm (No. 123)
One atom of each set of equivalent atoms:
Mg  0.0000  0.0000  0.0000 (multiplicity 1)
Ir  0.0000  0.0000  0.5000 (multiplicity 1)
Rh  0.5000  0.5000  0.5000 (multiplicity 1)
Se  0.0000  0.5000  0.0000 (multiplicity 2)

Results
Total DFT energy (no corrections) = -4.12 eV per atom
Uncorrected formation energy = 1.352 eV/atom
Calculated volume = 99.0 Å³ per cell
Crystal system = tetragonal

---

# 4
ZrFe2GePb after structural relaxation. Source: Alexandria, functional GGA-PBEsol.

Cell: 4.7073 4.7073 5.4045 Å, 90.00 90.00 90.00°
Space group P4/mmm (No. 123)
One atom of each set of equivalent atoms:
Zr  0.0000  0.0000  0.0000 (multiplicity 1)
Fe  0.0000  0.5000  0.5000 (multiplicity 2)
Ge  0.5000  0.5000  0.0000 (multiplicity 1)
Pb  0.0000  0.0000  0.5000 (multiplicity 1)

Results
Total DFT energy (no corrections) = -5.73 eV per atom
Calculated volume = 119.8 Å³ per cell
Energy of formation = 1.46 eV/atom
Crystal system = tetragonal

---

# 5
FeTeP2O8 after structural relaxation. Source: Alexandria, functional GGA-PBEsol.

Cell: 4.7642 6.5849 9.7737 Å, 90.00 97.82 90.00°
Space group P2_1/m (No. 11)
One atom of each set of equivalent atoms:
Fe  0.0674  0.2500  0.2336 (multiplicity 2)
Te  0.4095  0.2500  0.6927 (multiplicity 2)
P  0.1109  0.7500  0.1061 (multiplicity 2)
P  0.3309  0.7500  0.5887 (multiplicity 2)
O  0.1127  0.7500  0.9522 (multiplicity 2)
O  0.1991  0.2500  0.8636 (multiplicity 2)
O  0.2127  0.5667  0.6646 (multiplicity 4)
O  0.2259  0.7500  0.4321 (multiplicity 2)
O  0.2891  0.5687  0.1811 (multiplicity 4)
O  0.3439  0.2500  0.3971 (multiplicity 2)

Results
Total DFT energy (no corrections) = -7.16 eV per atom
Energy above the most stable polymorph in this dataset = 6 meV/atom
Uncorrected formation energy = -1.659 eV/atom
Calculated volume = 303.8 Å³ per cell
Crystal system = monoclinic

---

# 6
La4CdRh after structural relaxation. Source: Alexandria, functional GGA-PBEsol.

Cell: 8.7124 8.7124 8.7124 Å, 90.00 90.00 90.00°
Space group F-43m (No. 216)
One atom of each set of equivalent atoms:
La  0.1239  0.1239  0.1239 (multiplicity 16)
Cd  0.0000  0.0000  0.5000 (multiplicity 4)
Rh  0.2500  0.2500  0.7500 (multiplicity 4)

Results
Total DFT energy (no corrections) = -4.64 eV per atom
Calculated volume = 661.3 Å³ per cell
Energy of formation = 0.48 eV/atom
Crystal system = cubic

---

# 7
PIrBr2 after structural relaxation. Source: Alexandria, functional GGA-PBEsol.

Cell: 3.5426 3.5426 23.0842 Å, 90.00 90.00 120.00°
Space group R-3m (No. 166, hexagonal axes)
One atom of each set of equivalent atoms:
P  0.0000  0.0000  0.0000 (multiplicity 3)
Ir  0.0000  0.0000  0.5000 (multiplicity 3)
Br  0.0000  0.0000  0.2296 (multiplicity 6)

Results
Total DFT energy (no corrections) = -4.00 eV per atom
- - -
### Outcome
Calculated volume = 117.1 Å³ per cell
Calculated volume = 126.4 Å³ per cell
Calculated volume = 99.0 Å³ per cell
Calculated volume = 119.8 Å³ per cell
Calculated volume = 303.8 Å³ per cell
Calculated volume = 661.3 Å³ per cell